
James McGrath

James E. McGrath (Deceased) Credentials Background Dr. James McGrath is a former professor of chemistry at Virginia Tech and past co-director of the Polymer Materials and Interface Lab (PMIL) at Virginia Tech. James E. McGrath passed away in May of 2014.1“James E. McGrath, 79, scientist and Virginia Tech professor known for work with polymers, dies,” […]

Edward David

Edward E. David Jr. Credentials Background Edward David is an American electrical engineer. He served as a past science advisor to president Richard M. Nixon. He resigned from his position with Nixon in 1973, because of “disappointment that his advice had not been heeded.”1Lyons, Richard D. (January 3, 1973). Science Adviser to Nixon Leaving for Industry […]

Steve Milloy

Steven J. Milloy Photo of Steve Milloy by Zach Roberts (c) 2017. Credentials Background Steve Milloy joined the Heartland Institute’s board of directors in 2020. He previously worked as director of external policy and strategy at Murray Energy Corp, which claims to be the largest privately-owned coal […]

Richard Lindzen

Richard Lindzen Credentials Background Richard S. Lindzen is former Alfred P. Sloan Professor of Meteorology at the Massachusetts Institute of Technology (MIT), a position he held from 1983 until his retirement in 2013.3“Faculty News,” EAPS, May 31, 2013. […]

Nigel Lawson (deceased)

Nigel Lawson Credentials Background Nigel Lawson, whose official title was Lord Lawson of Blaby, spent the majority of his professional career involved in British politics and journalism. In the early 1960s and 70s, Lawson served as an Editor or columnist for a number of newspapers including The Financial Times, The Sunday Telegraph, The Spectator, The Evening Standard, and […]

Lavoisier Group

Lavoisier Group Background The Lavoisier Group, borrowing the name of French chemist Antoine-Laurent Lavoisier, was founded in March 2000 by the late Ray Evans, then an executive at the Western Mining Corporation (WMC), Hugh Morgan (past CEO of WMC), and Peter Walsh. Morgan has funded other skeptical think-tanks and organizations including the Centre for Independent […]

Frontier Centre for Public Policy

Frontier Centre for Public Policy (FCPP) Background The Frontier Centre for Public Policy (FCPP) is a “research and education charity” registered in both Canada and the United States. It was founded in 1999 by “philanthropic foundations seeking to help voters and policy makers improve their understanding of the economy and public policy.” They outline their […]

International Climate and Environmental Change Assessment Project

International Climate and Environmental Change Assessment Project (ICECAP) Background The International Climate and Environmental Change Assessment Project (ICECAP) is a website devoted to promoting the views of climate change skeptics. It was registered by Executive Director Joseph D’Aleo on October 20, 2006. ICECAP describes itself as “the […]

George C. Marshall Institute

George C. Marshall Institute (GMI) — Now CO2 Coalition Background The George C. Marshall Institute (GMI) was founded in 1984 by William Nierenberg, Frederick Seitz and Robert Jastrow as a “nonprofit 501(c)(3) corporation to conduct technical assessments of scientific issues with an impact on public policy.”1”About The Marshall Institute,” George C. Marshall Institute. Archived August […]

[Data records, as found in the file]
Simulated PXRD pattern of HoZn6Pt4 for Cu Ka, from the PBE geometry in Alexandria.

Peak list (6 most intense, 2θ = 10–80°, in order of falling intensity)
2θ (°)  I_rel
41.86  100
43.01  67
26.81  55
31.54  46
18.88  42
38.26  27

Structural model:
abc: 6.651 6.651 6.651
angles: 119.96 119.96 90.06
Fractional positions:
1 Ho 0.000 0.000 0.000
2 Zn 0.000 0.500 0.500
3 Zn 0.131 0.465 0.000
4 Zn 0.465 0.131 0.000
5 Zn 0.500 0.000 0.500
6 Zn 0.535 0.535 0.666
7 Zn 0.869 0.869 0.334
8 Pt 0.233 0.233 0.618
9 Pt 0.385 0.767 0.000
10 Pt 0.615 0.615 0.382
11 Pt 0.767 0.385 0.000

Simulated PXRD pattern of TlCd2Ag for Cu Ka, from the PBE geometry in Alexandria.

Peak list (6 most intense, 2θ = 10–80°, in order of falling intensity)
2θ (°)  I_rel
34.45  100
39.75  34
68.76  26
58.02  22
40.46  16
69.74  13

Structural model:
abc: 5.492 5.492 5.492
angles: 131.23 131.23 71.45
Fractional positions:
1 Tl 0.000 0.000 0.000
2 Cd 0.500 0.500 0.000
3 Cd 0.750 0.250 0.500
4 Ag 0.250 0.750 0.500

Simulated PXRD pattern of PmPbAu for Cu Ka, from the PBE geometry in Alexandria.

Peak list (6 most intense, 2θ = 10–80°, in order of falling intensity)
2θ (°)  I_rel
36.57  100
65.84  37
22.16  33
43.18  18
52.68  18
77.74  12

Structural model:
abc: 4.914 4.914 4.914
angles: 60.00 60.00 60.00
Fractional positions:
1 Pm 0.000 0.000 0.000
2 Pb 0.500 0.500 0.500
3 Au 0.750 0.750 0.750

Simulated PXRD pattern of PuMg3Ni8 for Cu Ka, from the PBE geometry in Alexandria.

Peak list (6 most intense, 2θ = 10–80°, in order of falling intensity)
2θ (°)  I_rel
43.37  100
44.19  92
40.05  77
23.76  74
11.10  69
30.79  46

Structural model:
abc: 4.898 4.898 7.969
angles: 90.00 90.00 120.00
Fractional positions:
1 Pu 0.000 0.000 0.000
2 Mg 0.000 0.000 0.385
3 Mg 0.667 0.333 0.490
4 Mg 0.667 0.333 0.851
5 Ni 0.165 0.331 0.680
6 Ni 0.165 0.835 0.680
7 Ni 0.333 0.667 0.431
8 Ni 0.333 0.667 0.930
9 Ni 0.502 0.004 0.184
10 Ni 0.502 0.498 0.184
11 Ni 0.669 0.835 0.680
12 Ni 0.996 0.498 0.184

~~~~~

Record 1
Structure and computed X-ray diffraction stick pattern of Hf2Zr3Sc3 (a GGA-PBE-relaxed structure; a wavelength of 1.5418 Å).

Most intense lines, 2θ = 10–90°, sorted by position:
- 15.5 deg, I 23
- 21.2 deg, I 27
- 31.2 deg, I 22
- 34.1 deg, I 17
- 35.9 deg, I 100
- 37.2 deg, I 76
- 38.0 deg, I 21
- 52.6 deg, I 29
- 66.2 deg, I 32
- 72.1 deg, I 18

```
data_Hf2Zr3Sc3
_chemical_formula_sum 'Hf2 Zr3 Sc3'
_space_group_name_H-M_alt 'P 1'
_space_group_IT_number 1
_cell_length_a 5.756
_cell_length_b 5.756
_cell_length_c 5.756
_cell_angle_alpha 93.44
_cell_angle_beta 93.44
_cell_angle_gamma 93.44
loop_
_space_group_symop_operation_xyz
'x,y,z'
loop_
_atom_site_label
_atom_site_type_symbol
_atom_site_fract_x
_atom_site_fract_y
_atom_site_fract_z
_atom_site_occupancy
Hf1 Hf 0.180 0.180 0.180 1
Hf2 Hf 0.820 0.820 0.820 1
Zr1 Zr 0.000 0.683 0.317 1
Zr2 Zr 0.317 0.000 0.683 1
Zr3 Zr 0.683 0.317 0.000 1
Sc1 Sc 0.228 0.500 0.772 1
Sc2 Sc 0.500 0.772 0.228 1
Sc3 Sc 0.772 0.228 0.500 1
```



Record 2
[Back to the page]

Frontiers of Freedom

Frontiers of Freedom (FoF) Background Frontiers of Freedom (FoF) is a 501(C)4 nonprofit organization founded in 1995 by U.S. Senator Malcolm Wallup. It describes itself as an educational foundation with the mission “to promote the principles of individual freedom, peace through strength, limited government, free enterprise, free markets, and traditional American values as found in the […]